# Brief
Set down everything further down with every line break kept.
# Listing
********
94
Properties=species:S:1:pos:R:3 method="wB97M-V/def2-TZVPD" orbital_gap_ev=8.60 homo_ev=-8.1 de_lowest_kj_mol=0.00
Cd 5.7383 -5.5626 19.1913
C 7.3696 -2.5232 23.1780
C 8.0431 -2.8465 21.8894
N 9.2018 -2.4780 21.4700
N 9.3745 -3.0215 20.1860
C 8.3005 -3.7275 19.8549
S 7.9082 -4.4781 18.3692
N 7.5135 -3.7026 20.9528
N 6.2504 -4.3739 20.9837
H 7.2770 -3.3908 23.8557
H 6.3050 -2.3277 22.9698
H 7.8789 -1.7131 23.6909
H 10.0538 -2.6500 19.5524
H 6.1642 -4.8268 21.9058
H 3.0739 -6.3827 18.6178
Cl -1.2106 -7.0860 21.0467
C -1.1992 -6.9570 22.7733
Cl 0.1147 -7.8444 23.5623
H -2.1313 -7.3460 23.0898
H -1.0538 -5.9129 22.9522
C 2.8171 -6.5054 16.0964
C 4.1961 -6.1391 16.6541
C 5.2867 -6.8335 15.8187
C 4.1580 -6.5318 18.1354
C 4.2604 -4.6449 16.4501
C 4.9447 -4.0856 15.3576
C 4.8625 -2.7264 15.0998
C 4.1839 -1.8974 15.9684
C 3.4850 -2.4700 17.0456
C 3.5019 -3.8268 17.2797
H 2.5601 -7.5248 16.4116
H 2.7410 -6.6097 14.9950
H 2.0221 -5.8638 16.3547
H 5.2353 -7.8701 16.0359
H 6.2631 -6.4829 16.2008
H 5.1347 -6.7215 14.7380
H 4.2540 -7.6143 18.0511
H 5.5446 -4.7552 14.6606
H 5.3143 -2.2428 14.2513
H 4.2056 -0.8720 15.8653
H 2.8977 -1.8100 17.5955
H 2.9545 -4.2859 18.0844
C 3.2248 -9.6518 23.2160
C 3.6983 -11.0819 23.3475
As 2.1648 -12.3140 23.6016
C 2.2327 -12.5462 25.5311
C 2.7681 -11.6218 26.4136
C 2.6116 -11.7803 27.7843
C 2.1625 -13.0161 28.3204
C 1.7737 -13.9959 27.3900
C 1.7966 -13.7877 26.0180
C 3.0725 -14.0192 23.1107
C 2.6257 -14.6512 21.8890
C 3.2056 -15.8092 21.4144
C 4.2619 -16.4165 22.1467
C 4.6680 -15.8622 23.3279
C 4.0316 -14.6910 23.7844
P 4.3812 -8.2867 22.6825
C 5.3946 -9.0857 21.3432
C 4.8387 -9.9720 20.4308
C 5.5315 -10.3227 19.2957
C 6.8347 -9.9248 19.0828
C 7.4021 -9.0757 20.0340
C 6.6898 -8.6045 21.0860
C 5.6003 -8.0460 24.0120
C 5.5772 -6.7456 24.5007
C 6.3404 -6.4760 25.6385
C 7.0897 -7.4807 26.1860
C 7.1514 -8.7907 25.6849
C 6.3830 -9.0522 24.5729
H 2.7023 -9.2320 24.0746
H 2.4183 -9.7261 22.4833
H 4.4552 -11.3802 24.0303
H 4.1036 -11.4032 22.3841
H 3.2046 -10.7178 25.9848
H 3.0197 -10.9937 28.4391
H 2.0928 -13.3266 29.3577
H 1.5362 -14.9602 27.7487
H 1.4127 -14.5889 25.3541
H 1.8406 -14.1676 21.2906
H 2.8470 -16.2566 20.5307
H 4.7055 -17.2879 21.7912
H 5.4126 -16.3908 23.9402
H 4.3971 -14.2893 24.7400
H 3.7348 -10.1988 20.5957
H 5.1122 -10.9624 18.5110
H 7.3700 -10.2676 18.1932
H 8.3744 -8.5967 19.8257
H 7.0932 -7.8767 21.7674
H 4.8721 -5.9845 24.1432
H 6.3667 -5.5321 26.1203
H 7.6441 -7.2103 27.1387
H 7.8083 -9.5449 26.0705
H 6.2749 -10.0116 24.1185

***

106
Properties=species:S:1:pos:R:3 method="wB97M-V/def2-TZVPD" orbital_gap_ev=2.71 homo_ev=-0.5 charge=-2 de_lowest_kj_mol=40.14
Ba 0.3815 -0.5800 1.9683
C 3.0394 1.8493 2.6099
C 2.5412 2.6239 1.3355
N 1.5564 1.8323 0.5807
C 0.3977 2.5135 0.0402
C -0.5329 3.1406 1.1346
S -0.8141 2.3811 2.7620
C 0.3996 3.0950 3.9141
C 1.4834 2.2030 4.5199
N 2.0674 1.2486 3.5620
H 3.7650 2.5022 3.1492
H 3.6529 1.0119 2.2062
H 3.4491 2.8848 0.7211
H 2.1299 3.5851 1.6523
H 1.9990 1.1932 -0.1040
H -0.2442 1.8369 -0.5235
H 0.6370 3.3070 -0.6912
H -1.5131 3.0922 0.6666
H -0.3075 4.1752 1.3165
H -0.2217 3.3962 4.7577
H 0.8402 3.9894 3.4339
H 1.0457 1.6298 5.3609
H 2.2667 2.8185 5.0111
H 2.6303 0.5768 4.0868
C -5.2029 0.7776 -3.7074
C -5.6371 0.4776 -2.2684
C -7.0063 0.6235 -1.9551
C -7.4441 0.3881 -0.6549
C -6.5568 -0.1201 0.3050
C -5.2297 -0.3418 -0.0235
C -4.7515 -0.0316 -1.2920
P -2.9795 -0.2693 -1.4330
C -2.4287 1.1064 -2.4564
C -2.8564 2.4042 -2.0736
C -2.1980 3.5163 -2.5494
C -1.2230 3.4501 -3.5549
C -0.8113 2.1931 -3.9519
C -1.3918 1.0121 -3.4312
C -0.9465 -0.2837 -4.0449
C -2.8161 -1.9021 -2.1412
C -3.7076 -2.5333 -3.0035
C -3.5353 -3.8592 -3.3743
C -2.4072 -4.5952 -2.9303
C -1.5008 -4.0304 -2.0930
C -1.6508 -2.6451 -1.6786
C -0.6734 -2.0430 -0.9064
H -6.0407 0.6235 -4.3768
H -4.3691 0.1394 -4.0124
H -4.8644 1.8206 -3.8503
H -7.6779 1.0139 -2.7038
H -8.4661 0.6807 -0.4063
H -6.9319 -0.3938 1.3005
H -4.5786 -0.7975 0.7131
H -3.7075 2.5428 -1.4360
H -2.4718 4.4728 -2.0913
********
# Outcome
94
Properties=species:S:1:pos:R:3 method="wB97M-V/def2-TZVPD" orbital_gap_ev=8.60 homo_ev=-8.1 de_lowest_kj_mol=0.00
Cd 5.7383 -5.5626 19.1913
C 7.3696 -2.5232 23.1780
C 8.0431 -2.8465 21.8894
N 9.2018 -2.4780 21.4700
N 9.3745 -3.0215 20.1860
C 8.3005 -3.7275 19.8549
S 7.9082 -4.4781 18.3692
N 7.5135 -3.7026 20.9528
N 6.2504 -4.3739 20.9837
H 7.2770 -3.3908 23.8557
H 6.3050 -2.3277 22.9698
H 7.8789 -1.7131 23.6909
H 10.0538 -2.6500 19.5524
H 6.1642 -4.8268 21.9058
H 3.0739 -6.3827 18.6178
Cl -1.2106 -7.0860 21.0467
C -1.1992 -6.9570 22.7733
Cl 0.1147 -7.8444 23.5623
H -2.1313 -7.3460 23.0898
H -1.0538 -5.9129 22.9522
C 2.8171 -6.5054 16.0964
C 4.1961 -6.1391 16.6541
C 5.2867 -6.8335 15.8187
C 4.1580 -6.5318 18.1354
C 4.2604 -4.6449 16.4501
C 4.9447 -4.0856 15.3576
C 4.8625 -2.7264 15.0998
C 4.1839 -1.8974 15.9684
C 3.4850 -2.4700 17.0456
C 3.5019 -3.8268 17.2797
H 2.5601 -7.5248 16.4116
H 2.7410 -6.6097 14.9950
H 2.0221 -5.8638 16.3547
H 5.2353 -7.8701 16.0359
H 6.2631 -6.4829 16.2008
H 5.1347 -6.7215 14.7380
H 4.2540 -7.6143 18.0511
H 5.5446 -4.7552 14.6606
H 5.3143 -2.2428 14.2513
H 4.2056 -0.8720 15.8653
H 2.8977 -1.8100 17.5955
H 2.9545 -4.2859 18.0844
C 3.2248 -9.6518 23.2160
C 3.6983 -11.0819 23.3475
As 2.1648 -12.3140 23.6016
C 2.2327 -12.5462 25.5311
C 2.7681 -11.6218 26.4136
C 2.6116 -11.7803 27.7843
C 2.1625 -13.0161 28.3204
C 1.7737 -13.9959 27.3900
C 1.7966 -13.7877 26.0180
C 3.0725 -14.0192 23.1107
C 2.6257 -14.6512 21.8890
C 3.2056 -15.8092 21.4144
C 4.2619 -16.4165 22.1467
C 4.6680 -15.8622 23.3279
C 4.0316 -14.6910 23.7844
P 4.3812 -8.2867 22.6825
C 5.3946 -9.0857 21.3432
C 4.8387 -9.9720 20.4308
C 5.5315 -10.3227 19.2957
C 6.8347 -9.9248 19.0828
C 7.4021 -9.0757 20.0340
C 6.6898 -8.6045 21.0860
C 5.6003 -8.0460 24.0120
C 5.5772 -6.7456 24.5007
C 6.3404 -6.4760 25.6385
C 7.0897 -7.4807 26.1860
C 7.1514 -8.7907 25.6849
C 6.3830 -9.0522 24.5729
H 2.7023 -9.2320 24.0746
H 2.4183 -9.7261 22.4833
H 4.4552 -11.3802 24.0303
H 4.1036 -11.4032 22.3841
H 3.2046 -10.7178 25.9848
H 3.0197 -10.9937 28.4391
H 2.0928 -13.3266 29.3577
H 1.5362 -14.9602 27.7487
H 1.4127 -14.5889 25.3541
H 1.8406 -14.1676 21.2906
H 2.8470 -16.2566 20.5307
H 4.7055 -17.2879 21.7912
H 5.4126 -16.3908 23.9402
H 4.3971 -14.2893 24.7400
H 3.7348 -10.1988 20.5957
H 5.1122 -10.9624 18.5110
H 7.3700 -10.2676 18.1932
H 8.3744 -8.5967 19.8257
H 7.0932 -7.8767 21.7674
H 4.8721 -5.9845 24.1432
H 6.3667 -5.5321 26.1203
H 7.6441 -7.2103 27.1387
H 7.8083 -9.5449 26.0705
H 6.2749 -10.0116 24.1185

***

106
Properties=species:S:1:pos:R:3 method="wB97M-V/def2-TZVPD" orbital_gap_ev=2.71 homo_ev=-0.5 charge=-2 de_lowest_kj_mol=40.14
Ba 0.3815 -0.5800 1.9683
C 3.0394 1.8493 2.6099
C 2.5412 2.6239 1.3355
N 1.5564 1.8323 0.5807
C 0.3977 2.5135 0.0402
C -0.5329 3.1406 1.1346
S -0.8141 2.3811 2.7620
C 0.3996 3.0950 3.9141
C 1.4834 2.2030 4.5199
N 2.0674 1.2486 3.5620
H 3.7650 2.5022 3.1492
H 3.6529 1.0119 2.2062
H 3.4491 2.8848 0.7211
H 2.1299 3.5851 1.6523
H 1.9990 1.1932 -0.1040
H -0.2442 1.8369 -0.5235
H 0.6370 3.3070 -0.6912
H -1.5131 3.0922 0.6666
H -0.3075 4.1752 1.3165
H -0.2217 3.3962 4.7577
H 0.8402 3.9894 3.4339
H 1.0457 1.6298 5.3609
H 2.2667 2.8185 5.0111
H 2.6303 0.5768 4.0868
C -5.2029 0.7776 -3.7074
C -5.6371 0.4776 -2.2684
C -7.0063 0.6235 -1.9551
C -7.4441 0.3881 -0.6549
C -6.5568 -0.1201 0.3050
C -5.2297 -0.3418 -0.0235
C -4.7515 -0.0316 -1.2920
P -2.9795 -0.2693 -1.4330
C -2.4287 1.1064 -2.4564
C -2.8564 2.4042 -2.0736
C -2.1980 3.5163 -2.5494
C -1.2230 3.4501 -3.5549
C -0.8113 2.1931 -3.9519
C -1.3918 1.0121 -3.4312
C -0.9465 -0.2837 -4.0449
C -2.8161 -1.9021 -2.1412
C -3.7076 -2.5333 -3.0035
C -3.5353 -3.8592 -3.3743
C -2.4072 -4.5952 -2.9303
C -1.5008 -4.0304 -2.0930
C -1.6508 -2.6451 -1.6786
C -0.6734 -2.0430 -0.9064
H -6.0407 0.6235 -4.3768
H -4.3691 0.1394 -4.0124
H -4.8644 1.8206 -3.8503
H -7.6779 1.0139 -2.7038
H -8.4661 0.6807 -0.4063
H -6.9319 -0.3938 1.3005
H -4.5786 -0.7975 0.7131
H -3.7075 2.5428 -1.4360
H -2.4718 4.4728 -2.0913